# Brief
Could you reproduce everything further down character by character?

# Entries
- - -
Entry 1:
## LiSc4Si4O14 (PBE)

Data for a relaxed structure of LiSc4Si4O14. Values from VASP.

Geometry as Quantum ESPRESSO input:
```
&SYSTEM
  ibrav = 0, nat = 23, ntyp = 4
/
ATOMIC_SPECIES
Sc 44.96 Sc.upf
O 16.00 O.upf
Si 28.09 Si.upf
Li 6.94 Li.upf
ATOMIC_POSITIONS crystal
Sc 0.002 0.002 0.002
Sc 0.975 0.512 0.975
Sc 0.512 0.975 0.975
Sc 0.975 0.975 0.512
O 0.883 0.883 0.883
O 0.128 0.128 0.128
O 0.822 0.822 0.426
O 0.183 0.183 0.575
O 0.426 0.822 0.822
O 0.576 0.576 0.174
O 0.426 0.828 0.426
O 0.822 0.426 0.822
O 0.426 0.426 0.828
O 0.576 0.174 0.576
O 0.183 0.575 0.183
O 0.174 0.576 0.576
O 0.575 0.183 0.183
O 0.828 0.426 0.426
Si 0.501 0.501 0.998
Si 0.998 0.501 0.501
Si 0.504 0.504 0.504
Si 0.501 0.998 0.501
Li 0.243 0.243 0.243
CELL_PARAMETERS angstrom
-6.005 -0.533 3.086
-1.833 -5.685 3.194
-0.486 -0.254 6.751
```

Properties
Electronic total energy   -8.0199 eV per atom
Symmetry   No. 160

Entry 2:
## LiSc4Si4O14 (PBE)

Data for a relaxed structure of LiSc4Si4O14. Values from VASP.

Geometry as Quantum ESPRESSO input:
```
&SYSTEM
  ibrav = 0, nat = 23, ntyp = 4
/
ATOMIC_SPECIES
Sc 44.96 Sc.upf
Si 28.09 Si.upf
Li 6.94 Li.upf
O 16.00 O.upf
ATOMIC_POSITIONS crystal
Sc 0.000 0.000 0.000
Sc 0.000 0.500 0.000
Sc 0.500 0.000 0.000
Sc 0.000 0.000 0.500
Si 0.494 0.494 0.494
Si 0.020 0.493 0.493
Si 0.494 0.494 0.019
Si 0.493 0.020 0.493
Li 0.626 0.626 0.624
O 0.179 0.179 0.571
O 0.571 0.571 0.179
O 0.428 0.428 0.822
O 0.571 0.180 0.179
O 0.823 0.823 0.427
O 0.823 0.428 0.427
O 0.823 0.428 0.822
O 0.125 0.125 0.125
O 0.571 0.180 0.571
O 0.180 0.571 0.571
O 0.428 0.823 0.427
O 0.875 0.875 0.875
O 0.180 0.571 0.179
O 0.428 0.823 0.822
CELL_PARAMETERS angstrom
5.816 -0.006 3.357
1.933 5.485 3.357
0.000 0.000 6.713
```

Properties
Electronic total energy   -7.9743 eV per atom
Symmetry   No. 44

Entry 3:
## LiScSi2O6 (PBE)

Data for a relaxed structure of LiScSi2O6. Values from VASP.

Geometry as Quantum ESPRESSO input:
```
&SYSTEM
  ibrav = 0, nat = 40, ntyp = 4
/
ATOMIC_SPECIES
O 16.00 O.upf
Si 28.09 Si.upf
Sc 44.96 Sc.upf
Li 6.94 Li.upf
ATOMIC_POSITIONS crystal
O 0.998 0.291 0.879
O 0.002 0.709 0.121
O 0.995 0.735 0.625
O 0.836 0.779 0.370
O 0.738 0.519 0.894
O 0.498 0.209 0.121
O 0.770 0.433 0.600
O 0.270 0.067 0.400
O 0.730 0.933 0.600
O 0.667 0.704 0.128
O 0.333 0.296 0.872
O 0.664 0.279 0.370
O 0.833 0.204 0.128
O 0.762 0.019 0.894
O 0.167 0.796 0.872
O 0.336 0.721 0.630
O 0.230 0.567 0.400
O 0.502 0.791 0.879
O 0.238 0.981 0.106
O 0.164 0.221 0.630
O 0.495 0.765 0.375
O 0.505 0.235 0.625
O 0.262 0.481 0.106
O 0.005 0.265 0.375
Si 0.164 0.279 0.452
Si 0.664 0.761 0.951
Si 0.336 0.239 0.049
Si 0.836 0.261 0.951
Si 0.836 0.721 0.548
Si 0.164 0.739 0.049
Si 0.336 0.779 0.452
Si 0.664 0.221 0.548
Sc 0.142 0.510 0.749
Sc 0.358 0.010 0.749
Sc 0.858 0.490 0.251
Sc 0.642 0.990 0.251
Li 0.500 0.492 0.247
Li 0.000 0.992 0.247
Li 0.000 0.008 0.753
Li 0.500 0.508 0.753
CELL_PARAMETERS angstrom
9.062 0.000 0.000
0.000 5.399 0.000
0.000 1.901 9.308
```

Properties
Electronic total energy   -7.8066 eV per atom
Symmetry   No. 14

Entry 4:
## LiScSi2O6 (PBE)

Data for a relaxed structure of LiScSi2O6. Values from VASP.

Geometry as Quantum ESPRESSO input:
```
&SYSTEM
  ibrav = 0, nat = 40, ntyp = 4
/
ATOMIC_SPECIES
O 16.00 O.upf
Sc 44.96 Sc.upf
Li 6.94 Li.upf
Si 28.09 Si.upf
ATOMIC_POSITIONS crystal
O 0.334 0.716 0.629
O 0.333 0.290 0.871
O 0.238 0.556 0.397
O 0.502 0.228 0.622
O 0.749 0.040 0.895
O 0.262 0.056 0.397
O 0.998 0.728 0.622
O 0.834 0.784 0.371
O 0.167 0.790 0.871
O 0.001 0.720 0.121
O 0.249 0.460 0.105
O 0.762 0.444 0.603
O 0.738 0.944 0.603
O 0.002 0.272 0.378
O 0.166 0.216 0.629
O 0.751 0.540 0.895
O 0.499 0.220 0.121
O 0.999 0.280 0.879
O 0.666 0.284 0.371
O 0.833 0.210 0.129
O 0.498 0.772 0.378
O 0.251 0.960 0.105
O 0.667 0.710 0.129
O 0.501 0.780 0.879
Sc 0.644 0.997 0.250
Sc 0.144 0.503 0.750
Sc 0.856 0.497 0.250
Sc 0.356 0.003 0.750
Li 0.004 0.997 0.250
Li 0.504 0.503 0.750
Li 0.496 0.497 0.250
Li 0.996 0.003 0.750
- - -

# Here it is
Entry 1:
## LiSc4Si4O14 (PBE)

Data for a relaxed structure of LiSc4Si4O14. Values from VASP.

Geometry as Quantum ESPRESSO input:
```
&SYSTEM
  ibrav = 0, nat = 23, ntyp = 4
/
ATOMIC_SPECIES
Sc 44.96 Sc.upf
O 16.00 O.upf
Si 28.09 Si.upf
Li 6.94 Li.upf
ATOMIC_POSITIONS crystal
Sc 0.002 0.002 0.002
Sc 0.975 0.512 0.975
Sc 0.512 0.975 0.975
Sc 0.975 0.975 0.512
O 0.883 0.883 0.883
O 0.128 0.128 0.128
O 0.822 0.822 0.426
O 0.183 0.183 0.575
O 0.426 0.822 0.822
O 0.576 0.576 0.174
O 0.426 0.828 0.426
O 0.822 0.426 0.822
O 0.426 0.426 0.828
O 0.576 0.174 0.576
O 0.183 0.575 0.183
O 0.174 0.576 0.576
O 0.575 0.183 0.183
O 0.828 0.426 0.426
Si 0.501 0.501 0.998
Si 0.998 0.501 0.501
Si 0.504 0.504 0.504
Si 0.501 0.998 0.501
Li 0.243 0.243 0.243
CELL_PARAMETERS angstrom
-6.005 -0.533 3.086
-1.833 -5.685 3.194
-0.486 -0.254 6.751
```

Properties
Electronic total energy   -8.0199 eV per atom
Symmetry   No. 160

Entry 2:
## LiSc4Si4O14 (PBE)

Data for a relaxed structure of LiSc4Si4O14. Values from VASP.

Geometry as Quantum ESPRESSO input:
```
&SYSTEM
  ibrav = 0, nat = 23, ntyp = 4
/
ATOMIC_SPECIES
Sc 44.96 Sc.upf
Si 28.09 Si.upf
Li 6.94 Li.upf
O 16.00 O.upf
ATOMIC_POSITIONS crystal
Sc 0.000 0.000 0.000
Sc 0.000 0.500 0.000
Sc 0.500 0.000 0.000
Sc 0.000 0.000 0.500
Si 0.494 0.494 0.494
Si 0.020 0.493 0.493
Si 0.494 0.494 0.019
Si 0.493 0.020 0.493
Li 0.626 0.626 0.624
O 0.179 0.179 0.571
O 0.571 0.571 0.179
O 0.428 0.428 0.822
O 0.571 0.180 0.179
O 0.823 0.823 0.427
O 0.823 0.428 0.427
O 0.823 0.428 0.822
O 0.125 0.125 0.125
O 0.571 0.180 0.571
O 0.180 0.571 0.571
O 0.428 0.823 0.427
O 0.875 0.875 0.875
O 0.180 0.571 0.179
O 0.428 0.823 0.822
CELL_PARAMETERS angstrom
5.816 -0.006 3.357
1.933 5.485 3.357
0.000 0.000 6.713
```

Properties
Electronic total energy   -7.9743 eV per atom
Symmetry   No. 44

Entry 3:
## LiScSi2O6 (PBE)

Data for a relaxed structure of LiScSi2O6. Values from VASP.

Geometry as Quantum ESPRESSO input:
```
&SYSTEM
  ibrav = 0, nat = 40, ntyp = 4
/
ATOMIC_SPECIES
O 16.00 O.upf
Si 28.09 Si.upf
Sc 44.96 Sc.upf
Li 6.94 Li.upf
ATOMIC_POSITIONS crystal
O 0.998 0.291 0.879
O 0.002 0.709 0.121
O 0.995 0.735 0.625
O 0.836 0.779 0.370
O 0.738 0.519 0.894
O 0.498 0.209 0.121
O 0.770 0.433 0.600
O 0.270 0.067 0.400
O 0.730 0.933 0.600
O 0.667 0.704 0.128
O 0.333 0.296 0.872
O 0.664 0.279 0.370
O 0.833 0.204 0.128
O 0.762 0.019 0.894
O 0.167 0.796 0.872
O 0.336 0.721 0.630
O 0.230 0.567 0.400
O 0.502 0.791 0.879
O 0.238 0.981 0.106
O 0.164 0.221 0.630
O 0.495 0.765 0.375
O 0.505 0.235 0.625
O 0.262 0.481 0.106
O 0.005 0.265 0.375
Si 0.164 0.279 0.452
Si 0.664 0.761 0.951
Si 0.336 0.239 0.049
Si 0.836 0.261 0.951
Si 0.836 0.721 0.548
Si 0.164 0.739 0.049
Si 0.336 0.779 0.452
Si 0.664 0.221 0.548
Sc 0.142 0.510 0.749
Sc 0.358 0.010 0.749
Sc 0.858 0.490 0.251
Sc 0.642 0.990 0.251
Li 0.500 0.492 0.247
Li 0.000 0.992 0.247
Li 0.000 0.008 0.753
Li 0.500 0.508 0.753
CELL_PARAMETERS angstrom
9.062 0.000 0.000
0.000 5.399 0.000
0.000 1.901 9.308
```

Properties
Electronic total energy   -7.8066 eV per atom
Symmetry   No. 14

Entry 4:
## LiScSi2O6 (PBE)

Data for a relaxed structure of LiScSi2O6. Values from VASP.

Geometry as Quantum ESPRESSO input:
```
&SYSTEM
  ibrav = 0, nat = 40, ntyp = 4
/
ATOMIC_SPECIES
O 16.00 O.upf
Sc 44.96 Sc.upf
Li 6.94 Li.upf
Si 28.09 Si.upf
ATOMIC_POSITIONS crystal
O 0.334 0.716 0.629
O 0.333 0.290 0.871
O 0.238 0.556 0.397
O 0.502 0.228 0.622
O 0.749 0.040 0.895
O 0.262 0.056 0.397
O 0.998 0.728 0.622
O 0.834 0.784 0.371
O 0.167 0.790 0.871
O 0.001 0.720 0.121
O 0.249 0.460 0.105
O 0.762 0.444 0.603
O 0.738 0.944 0.603
O 0.002 0.272 0.378
O 0.166 0.216 0.629
O 0.751 0.540 0.895
O 0.499 0.220 0.121
O 0.999 0.280 0.879
O 0.666 0.284 0.371
O 0.833 0.210 0.129
O 0.498 0.772 0.378
O 0.251 0.960 0.105
O 0.667 0.710 0.129
O 0.501 0.780 0.879
Sc 0.644 0.997 0.250
Sc 0.144 0.503 0.750
Sc 0.856 0.497 0.250
Sc 0.356 0.003 0.750
Li 0.004 0.997 0.250
Li 0.504 0.503 0.750
Li 0.496 0.497 0.250
Li 0.996 0.003 0.750